Rape as a weapon of war against asylum seekers
The first time I spoke with survivors of the Darién Gap – the infamous deadly stretch of jungle on the border between Colombia and Panama – was in 2021 during my brief imprisonment in Siglo XXI, Mexico’s largest immigrant detention center, located in the Mexican state of Chiapas. near the border with Guatemala.
I was the only inmate to come from the United States – the country primarily responsible for Mexico’s migration policy – and I had ended up in the migrant prison purely because of my own stupidity and laziness in extending my tourist visa. My fellow inmates faced more existential problems, and many of them – from Haiti, Cuba, Bangladesh and beyond – were forced to traverse the Darién Gap as they fled political and economic calamity in hopes of eventually finding refuge in the US. .
Within the walls of Siglo XXI, where dreams of refuge had been put on indefinite hold, the Darién was a recurring topic of conversation—a sort of spontaneous exercise in group therapy, it seemed. Women told of the countless cadavers they had encountered on their travels. It was clear that rape was rampant in the jungle—to the extent that even those who were not personally assaulted were vicariously traumatized.
In these densest and most impenetrable forests, sexual violence against refugee seekers is institutionalized. This violence can be perpetrated by local residents, paramilitaries or a range of criminal actors whose activities are allowed to continue with impunity in the general context of criminalized migration.
In February of this year I traveled to the Darién region of Panama. Of course, I didn’t have to risk my life or physical integrity to do so – such as the obscene and arbitrary privilege conferred by the passport of the US, a country known for wreaking havoc around the world and then pushing its borders to militarize against anyone who so desires. to escape the mess.
In the town of Metetí in Darién province, I spoke with Tamara Guillermo, MSF field coordinator (Doctors Without Borders, or Doctors Without Borders), who expressed her horror at the “level of cruelty” and extreme “cruelty” currently on display being in the jungle – where sexual aggression, including against men, was common.
According to Guillermo, there had been a recent increase in reports of people being held up by armed assailants in the Darién and forced to remove all their clothing for a manual inspection of body orifices to make sure nothing of value was found tucked away. away. Often the women were then separated from the group and raped.
**Records of crystals, as found in the file:**
........
Mn5Be2FeRe2: optimized geometry, PBE-GGA.

Cell: 8.6003 8.6003 2.9451 Å, 90.00 90.00 90.00°
Space group P4/mbm (No. 127)
Inequivalent atoms, fractional coordinates:
Mn 0.0000 0.5000 0.0000 x2
Mn 0.0660 0.2054 0.0000 x8
Be 0.1242 0.3758 0.5000 x4
Fe 0.0000 0.0000 0.5000 x2
Re 0.1743 0.6743 0.5000 x4

formation energy from the elements: 46 meV per atom
mass density: 10.992 g cm⁻³
magnetization: 2.07 Bohr magnetons per cell


MnBe2FeSi: optimized geometry, PBE-GGA.

Cell: 3.9968 3.9968 4.1785 Å, 90.00 90.00 90.00°
Space group P4/mmm (No. 123)
Inequivalent atoms, fractional coordinates:
Mn 0.0000 0.0000 0.0000 x1
Be 0.0000 0.5000 0.5000 x2
Fe 0.5000 0.5000 0.0000 x1
Si 0.5000 0.5000 0.5000 x1

formation energy from raw total energies: 1127.0 meV per atom
mass density: 3.903 g cm⁻³
magnetization: 1.65 Bohr magnetons per cell


Mn5BeFe2Tc2: optimized geometry, PBE-GGA.

Cell: 7.9500 7.9500 3.6922 Å, 90.00 90.00 90.00°
Space group P4/mbm (No. 127)
Inequivalent atoms, fractional coordinates:
Mn 0.0000 0.5000 0.0000 x2
Mn 0.0699 0.1917 0.0000 x8
Be 0.0000 0.0000 0.5000 x2
Fe 0.1348 0.3652 0.5000 x4
Tc 0.1616 0.6616 0.5000 x4

formation energy from the elements: 184 meV per atom
mass density: 8.417 g cm⁻³
magnetization: 0.01 Bohr magnetons per cell


MnBe2Fe5Tc2: optimized geometry, PBE-GGA.

Cell: 8.6478 8.6478 2.8630 Å, 90.00 90.00 90.00°
Space group P4/mbm (No. 127)
Inequivalent atoms, fractional coordinates:
Mn 0.0000 0.0000 0.0000 x2
Be 0.1243 0.3757 0.0000 x4
Fe 0.0000 0.5000 0.5000 x2
Fe 0.0592 0.2056 0.5000 x8
Tc 0.1771 0.6771 0.0000 x4

formation energy from the elements: 70 meV per atom
mass density: 8.503 g cm⁻³
magnetization: 7.84 Bohr magnetons per cell


TiMnBeFe: optimized geometry, PBE-GGA.

Cell: 5.6984 5.6984 5.6984 Å, 90.00 90.00 90.00°
Space group F-43m (No. 216)
Inequivalent atoms, fractional coordinates:
Ti 0.0000 0.0000 0.0000 x4
Mn 0.2500 0.2500 0.2500 x4
Be 0.0000 0.0000 0.5000 x4
Fe 0.2500 0.2500 0.7500 x4

formation energy from the elements: -152 meV per atom
mass density: 6.018 g cm⁻³
magnetization: 11.54 Bohr magnetons per cell


Mn5Be2FeW2: optimized geometry, PBE-GGA.

Cell: 8.6089 8.6089 3.0249 Å, 90.00 90.00 90.00°
Space group P4/mbm (No. 127)
Inequivalent atoms, fractional coordinates:
Mn 0.0000 0.5000 0.0000 x2
Mn 0.0666 0.2060 0.0000 x8
Be 0.1232 0.3768 0.5000 x4
Fe 0.0000 0.0000 0.5000 x2
W 0.1742 0.6742 0.5000 x4

formation energy from the elements: 35 meV per atom
mass density: 10.611 g cm⁻³
magnetization: 10.59 Bohr magnetons per cell


MnBeFeW: optimized geometry, PBE-GGA.

Cell: 5.6949 5.6949 5.6949 Å, 90.00 90.00 90.00°
Space group F-43m (No. 216)
Inequivalent atoms, fractional coordinates:
Mn 0.0000 0.0000 0.0000 x4
Be 0.2500 0.2500 0.7500 x4
Fe 0.0000 0.0000 0.5000 x4
W 0.2500 0.2500 0.2500 x4

formation energy from the elements: -28 meV per atom
mass density: 10.919 g cm⁻³
magnetization: 3.58 Bohr magnetons per cell


BeFe2Mo: optimized geometry, PBE-GGA.

Cell: 6.4272 6.4272 4.6611 Å, 90.00 90.00 90.00°
........
In Metetí, I also spoke with a young Venezuelan woman—we’ll call her Alicia—whose two-year-old son threw a foam ball at me and pinched my nose during our conversation, distracted by a cartoon about velociraptors.
Alicia had been crossing the Darién for 10 days, she told me, and every night she had cried. She hadn’t been raped, but she had heard of many rapes and seen many deaths – such as the hunched body of an old man under a tree who “looked like he was cold.” She had met a Haitian woman whose six-month-old baby had just drowned. She had been robbed of her puppy and then of any valuables not hidden in her son’s diapers when a group of 10 hooded men descended on her group.
In Spanish, the verb “violar” can mean either “violation” – as in human rights – or “to rape”. And while Alicia may not have been physically violated in the last sentence, the DariénGap pretty much qualifies as one continuous violation.
But the Darién Gap is not the only stretch where refugees endure the brutal and often sexual violation of their dignity. Globally, we humans have shown a sadistic knack for exploiting vulnerable people on the move – people whose status as “migrants” usually has a lot to do with the fact that they have already suffered greatly in life.
Take Libya, an important point of departure for refugees on their way to Europe, fleeing war and economic misery, where rape, slavery and torture of all kinds have taken place – including of children seeking refuge. As much as the West tries to shift responsibility for the entire sinister scheme onto the ever-handy fantasy of African brutality, the reality is that the blame lies at the foot of Fortress Europe.
Meanwhile, bipartisan xenophobic US policies in northern Mexico have put countless asylum seekers directly into the hands of rapists and kidnappers. And on the island of Nauru, the site of Australia’s favored offshore asylum processing center, a 2020 report published jointly by the Refugee Council of Australia and the Asylum Seeker Resource Center noted: “For many years there have been tragic reports of rape and sexual abuse of women in Nauru, including by those who are paid to protect them”.
Speaking of supposed “protection”, Panamanian authorities have now come under fire over allegations of sexual and other abuse at migrant detention centers in Darién province. Forgive my pessimism about the prospects for justice.
During my stay in the Darién region, I also spoke with Marilen Osinalde, MSF’s mental health manager in Metetí, who regularly cares for patients who have been victims of sexual and other violence. She noted to me that while there is a persistent Western stereotype of rapists as “psychopaths grabbing you in the street at night,” the phenomenon is more complex.
In the case of the Darién Gap and other migratory pathways, she explained, the landscape of sexual aggression against people crossing it is about asserting power, status and impunity — as well as marking territory. The use of rape as a “weapon” in the Darién also objectifies and dehumanizes the migrant “Other,” she said, further cementing power structures.
Attached: records of crystals >
+++
Entry 1:
{
  "formula": "RbSrAlCl6",
  "functional": "PBE",
  "state": "optimized geometry",
  "raw_formation_energy_ev_per_atom": -1.94,
  "space_group": "P-31c",
  "lattice": [[7.0606, 0.0000, 0.0000], [-3.5303, 6.1146, 0.0000], [0.0000, 0.0000, 13.7387]],
  "species": ["Sr", "Sr", "Cl", "Cl", "Cl", "Cl", "Cl", "Cl", "Cl", "Cl", "Cl", "Cl", "Cl", "Cl", "Rb", "Rb", "Al", "Al"],
  "fractional_positions": [[0.3333, 0.6667, 0.2500], [0.6667, 0.3333, 0.7500], [0.6575, 0.5997, 0.1494], [0.4003, 0.3425, 0.3506], [0.9422, 0.3425, 0.1494], [0.9422, 0.5997, 0.3506], [0.3425, 0.9422, 0.6494], [0.4003, 0.0578, 0.1494], [0.5997, 0.6575, 0.6494], [0.6575, 0.0578, 0.3506], [0.3425, 0.4003, 0.8506], [0.5997, 0.9422, 0.8506], [0.0578, 0.6575, 0.8506], [0.0578, 0.4003, 0.6494], [0.0000, 0.0000, 0.0000], [0.0000, 0.0000, 0.5000], [0.6667, 0.3333, 0.2500], [0.3333, 0.6667, 0.7500]]
}


Entry 2:
{
  "formula": "YTe4P",
  "functional": "PBE",
  "state": "optimized geometry",
  "raw_formation_energy_ev_per_atom": 0.32,
  "space_group": "F-43m",
  "lattice": [[-5.4765, 0.8680, 2.8090], [-4.8661, 2.0883, -3.2552], [-4.7659, -3.7918, -1.2428]],
  "species": ["Te", "Te", "Te", "Te", "Y", "P"],
  "fractional_positions": [[0.3749, 0.8754, 0.3749], [0.8754, 0.3749, 0.3749], [0.3749, 0.3749, 0.3749], [0.3749, 0.3749, 0.8754], [0.7500, 0.7500, 0.7500], [0.0000, 0.0000, 0.0000]]
}


Entry 3:
{
  "formula": "Y2InSe",
  "functional": "PBE",
  "state": "optimized geometry",
  "raw_formation_energy_ev_per_atom": -0.81,
  "e_above_lowest_polymorph_kj_per_mol_fu": 126,
  "space_group": "Cmmm",
  "lattice": [[5.3677, -0.0748, 0.0000], [-0.2960, 5.3600, 0.0000], [0.0000, 0.0000, 3.5419]],
  "species": ["Se", "In", "Y", "Y"],
  "fractional_positions": [[0.0000, 0.5000, 0.5000], [0.5000, 0.0000, 0.5000], [0.5000, 0.5000, 0.0000], [0.0000, 0.0000, 0.0000]]
}


Entry 4:
{
  "formula": "Sc5AlAu4",
  "functional": "PBE",
  "state": "optimized geometry",
  "e_tot_ev_per_cell": -55.86,
  "space_group": "P4/mmm",
  "lattice": [[-0.4805, -1.3645, -3.0811], [3.3375, -0.6222, -0.2450], [-2.3209, -15.2515, 7.1165]],
  "species": ["Au", "Au", "Au", "Au", "Sc", "Sc", "Sc", "Sc", "Sc", "Al"],
  "fractional_positions": [[0.0000, 0.0000, 0.5996], [0.0000, 0.0000, 0.4004], [0.0000, 0.0000, 0.1954], [0.0000, 0.0000, 0.8046], [0.5000, 0.5000, 0.7008], [0.5000, 0.5000, 0.2992], [0.5000, 0.5000, 0.5000], [0.5000, 0.5000, 0.8992], [0.5000, 0.5000, 0.1008], [0.0000, 0.0000, 0.0000]]
}


Entry 5:
{
  "formula": "CeFe4As12",
  "functional": "PBE",
  "state": "optimized geometry",
  "e_tot_ev_per_cell": -102.67,
  "space_group": "Im-3",
  "lattice": [[-4.5137, -4.4846, -3.3861], [4.3801, -3.7876, 4.2917], [-3.7867, 4.6816, 3.9615]],
  "species": ["Fe", "Fe", "Fe", "Fe", "As", "As", "As", "As", "As", "As", "As", "As", "As", "As", "As", "As", "Ce"],
+++
End of the records of crystals >
Zoom out from the Darién and we find ourselves in a world of borders that dehumanize and criminalize refugee seekers and other have-nots, all in the interest of demarcating territory and strengthening power structures. The US is invading international borders at will while fortifying its own – turning spaces like the Darién Gap into physical and psychological weapons.
From Panama to Libya to Nauru, a war is being waged against people who are being deprived of not only the right to cross borders, but also the right to control the boundaries of their bodies. And that is indeed a violation of humanity.
The views expressed in this article are those of the author and do not necessarily reflect the editorial view of Al Jazeera.